Job:
Next, work out how many lines further down have the word "computed" in them; a number is enough.
Entries:
A relaxed structure of Sc4HgRh, computed with GGA-PBE.

Computed properties:
- energy (eV per atom) = -6.031
- ΔH_f (0 K) (eV/atom) = -0.53

abc: 12.6933 12.6933 12.6933
angles: 90.00 90.00 90.00
Closest atoms and distances in Å follow each position.
Space group F-43m (No. 216)
Symmetry-distinct sites (fractional):
Sc1 0.0000 0.0000 0.1870 x24  2 Hg 2.94, 2 Rh 3.24, 2 Sc 3.24
Sc2 0.0625 0.2500 0.2500 x24  2 Rh 2.67
Sc3 0.1057 0.1057 0.6057 x16  3 Rh 2.67
Hg1 0.1630 0.1630 0.8370 x16  9 Sc 2.94-3.26, 3 Hg 3.12
Rh1 0.1044 0.1044 0.3956 x16  6 Sc 2.67
Outcome:
1